# Excerpt
'''
No. 1
Here is a relaxed Ca2TlVBr8 crystal from Alexandria via LeMat-Bulk. Energies are from PBE-GGA.

ΔE_f (raw)	-1.37	eV per atom

The structure in extended XYZ format:
```
12
Lattice="-1.5364 -5.0600 -4.3673 4.8300 -3.6396 2.3375 -5.5482 -3.5074 6.0130" Properties=species:S:1:pos:R:3 pbc="T T T"
Ca -2.5492 -7.0021 3.5318
Ca 0.2945 -5.2050 0.4513
Tl -2.7741 -1.7537 3.0065
V 0.0000 0.0000 0.0000
Br 2.3699 -4.2757 2.3531
Br -2.9416 -9.7247 4.7945
Br -1.3142 -5.8356 -1.9579
Br -4.6246 -7.9314 1.6300
Br 0.6869 -2.4824 -0.8114
Br -0.9405 -6.3715 5.9410
Br -0.2038 -7.5860 1.9792
Br -2.0509 -4.6211 2.0039
```

---

No. 2
Here is a relaxed CaYTlBr6 crystal from Alexandria via LeMat-Bulk. Energies are from PBE-GGA.

ΔE_f (raw)	-1.72	eV per atom

The structure in extended XYZ format:
```
18
Lattice="-1.8171 0.2784 -7.2271 -5.1951 -1.6470 5.0901 -3.1353 13.9913 1.3273" Properties=species:S:1:pos:R:3 pbc="T T T"
Ca -4.8529 2.4926 1.3162
Ca -5.2945 10.1301 -2.1259
Y -3.7269 3.1344 -2.7896
Y -6.4205 9.4882 1.9798
Tl 0.0000 0.0000 0.0000
Tl -1.5676 6.9956 0.6637
Br -4.8326 1.0632 -1.2250
Br -4.1244 1.5912 -5.1179
Br -7.8047 7.3826 3.2491
Br -6.0231 11.0314 4.3081
Br -3.7143 4.5825 -0.3682
Br -6.1867 4.3248 -3.4916
Br -8.9868 10.6179 1.6661
Br -2.3428 5.2400 -4.0589
Br -3.9608 8.2978 2.6819
Br -1.1606 2.0047 -2.4759
Br -6.4331 8.0401 -0.4416
Br -5.3148 11.5595 0.4153
```

* * * * *

Record 1
Here is crystalline Eu2MgH6 at its relaxed geometry from Alexandria. Energies are from PBEsol.

Summary:
- E (eV/atom) = -5.229

Unit cell a=5.2888 b=5.2888 c=3.9949 alpha=90.00 beta=90.00 gamma=120.00
Space group P-3m1 (No. 164)
Asymmetric unit:
Eu 0.3333 0.6667 0.2597
Mg 0.0000 0.0000 0.0000
H 0.1833 0.3667 0.7589

---

Record 2
Here is crystalline EuMgH4 at its relaxed geometry from Alexandria. Energies are from PBEsol.

Summary:
- DOS(E_F) (states/eV/cell) = 21.58
- E (eV/atom) = -4.668

Unit cell a=3.7837 b=12.6676 c=5.5266 alpha=90.00 beta=90.00 gamma=90.00
Space group Cmc2_1 (No. 36)
Asymmetric unit:
Eu 0.0000 0.1516 0.0000
Mg 0.0000 0.4181 0.0510
H 0.0000 0.0521 0.6222
H 0.0000 0.2956 0.2575
H 0.0000 0.3291 0.7724
H 0.0000 0.4482 0.4144

---

Record 3
Here is crystalline EuH3O3 at its relaxed geometry from Alexandria. Energies are from PBEsol.

Summary:
- DOS(E_F) (states/eV/cell) = 20.46
- E (eV/atom) = -6.865

Unit cell a=6.3171 b=6.3171 c=3.6022 alpha=90.00 beta=90.00 gamma=120.00
Space group P6_3/m (No. 176)
Asymmetric unit:
Eu 0.3333 0.6667 0.2500
H 0.1294 0.2777 0.7500
O 0.0824 0.6934 0.7500

---

Record 4
Here is crystalline EuH3Pd at its relaxed geometry from Alexandria. Energies are from PBEsol.

Summary:
- DOS(E_F) (states/eV/cell) = 11.16
- E (eV/atom) = -5.878

Unit cell a=3.7322 b=3.7322 c=3.7322 alpha=90.00 beta=90.00 gamma=90.00
Space group Pm-3m (No. 221)
Asymmetric unit:
Eu 0.0000 0.0000 0.0000
H 0.0000 0.5000 0.5000
Pd 0.5000 0.5000 0.5000

---

Record 5
Here is crystalline Eu2HfNbO6 at its relaxed geometry from Alexandria. Energies are from PBEsol.

Summary:
- DOS(E_F) (states/eV/cell) = 7.52
- formation energy (no corrections) (eV per atom) = -3.021

Unit cell a=8.1191 b=8.1191 c=8.1191 alpha=90.00 beta=90.00 gamma=90.00
Space group Fm-3m (No. 225)
Asymmetric unit:
Eu 0.2500 0.2500 0.2500
Hf 0.0000 0.0000 0.0000
Nb 0.0000 0.0000 0.5000
O 0.0000 0.0000 0.2513

---

Record 6
Here is crystalline Eu2Hf2O7 at its relaxed geometry from Alexandria. Energies are from PBEsol.

Summary:
- DOS(E_F) (states/eV/cell) = 58.96
- formation energy (no corrections) (eV per atom) = -3.315

Unit cell a=10.5190 b=10.5190 c=10.5190 alpha=90.00 beta=90.00 gamma=90.00
Space group Fd-3m (No. 227, origin choice 2)
Asymmetric unit:
Eu 0.0000 0.0000 0.0000
Hf 0.0000 0.0000 0.5000
O 0.0844 0.3750 0.8750
O 0.1250 0.1250 0.1250

---

Total moment across the listed records, respectively: 14.00; 7.00; 6.00; 6.90; 13.75; 12.00 μB/f.u..
'''

# Wanted
Say how many lines of the block above hold the word "moment", as a bare number.

# Solution
1